Published Papers
- The Value of Student Debt Relief and the Role of Administrative Barriers: Evidence from the Teacher Loan Forgiveness Program
(with Brian Jacob and Ben Keys)
Journal of Labor Economics, Volume 42, Number 51, April, 2024
Ungated Version
NBER Working Paper No. 31359
- The Short-Term Labor Supply Response to the Expanded Child Tax Credit
(with Brandon Enriquez and Ernie Tedeschi)
AEA Papers and Proceedings, Vol. 113, May 2023: 401-405
Ungated Version
NBER Working Paper 31100
- Temporary and permanent effects of withdrawal penalties on retirement savings accounts
(with Gopi Shah Goda and Shanthi Ranmath)
Journal of Public Econpmics, 215, November 2022
Ungated Version (10/2022)
- Universal Cash Transfers and Inflation
(with Ioana Marinescu)
National Tax Journal, 75(3), September 2022: 627-653
Ungated Version (8/2022)
- Black Economists on Race and Policy: Contributions to Education, Poverty and Mobility, and Public Finance
(with Dania Francis and Bradley Hardy)
Journal of Economic Literature, 60(2), June 2022: 454-93
Ungated Version (6/2022)
- The Labor Market Impacts of Universal and Permanent Cash Transfers: Evidence from the Alaska Permanent Fund
(with Ioana Marinescu)
American Economic Journal: Economic Policy, 14(2), May 2022: 315-40
Ungated Version (5/2022)
Working Paper (12/2019)
[News Coverage: Forbes]
- Using Nonlinear Budget Sets to Estimate Extensive Margin Responses: Method and Evidence from the Earnings Test
(with Alex Gelber and Dan Sacks)
American Economic Journal: Applied Economics, 13(4), October 2021: 150-93
**Updated Version** (3/2020)
Earlier Version, NBER Working Paper No. 23362
[News Coverage: Forbes, Wall Street Journal]
- The Employment Effects of the Social Security Earnings Test
(with Alex Gelber, Dan Sacks, and Jae Song)
The Journal of Human Resources, Published online before print, March 2020
Earlier Version, NBER Working Paper No. 26696
- Effects of a Workplace Wellness Program on Employee Health, Health Beliefs, and Medical Use: A Randomized Clinical Trial
(with Julian Reif, David Chan, Laura Payne, and David Molitor)
JAMA Internal Medicine, May 2020
- Estimating Earnings Adjustment Frictions: Method and Evidence from the Social Security Earnings
(with Alex Gelber and Dan Sacks)
American Economic Journal: Applied Economics, 12(1), January 2020: 1-31 (Lead Article)
Ungated Version; Online Appendix
Earlier Version, NBER Working Paper No. 19491
[News Coverage: Wall Street Journal, Institute for Research on Labor and Employment]
- What Do Workplace Wellness Programs Do? Evidence from the Illinois Workplace Wellness Study
(with David Molitor and Julian Reif)
The Quarterly Journal of Economics, Volume 134, Issue 4, November 2019: 1747-1791
Ungated Version
Illinois Workplace Wellness Study Website
[News Coverage: Politico, Politico, Wharton Business Radio on Sirius XM, Bloomberg, Chicago Tribune, The World Bank: Development Impact, WBUR Radio, Boston, SF Gate, Benefits Pro]
- Retirement Plan Type and Employee Mobility: The Role of Selection and Incentive Effects
(with Gopi Shah Goda and Colleen Manchester)
The Journal of Human Resources, 52(3), Summer 2017: 654-679
Earlier Version, NBER Working Paper No. 18902
- Higher Education, Merit Aid Scholarships and Post-Baccalaureate Migration
(with Maria Fitzpatrick)
Economics of Education Review, Vol. 54, October, 2016: 155-172
Earlier Version, NBER Working Paper No. 18530
[News Coverage: New York Times, Wall Street Journal, Inside Higher ED, Washington Monthly, The NBER Digest]
- Inertia and Overwithholding: Explaining
the Prevalence of Income Tax Refunds
Online Appendix with Model
American Economic Journal: Economic Policy, 4(1), February 2012: 158-85
Earlier Version, NBER Working Paper No. 15963
[News Coverage: Forbes, The Oregonian, AEA Chart of the Week]
- Information, Preferences and Public Benefit Participation: Experimental Evidence from the Advance EITC and 401(k) Savings
Online Appendix
American Economic Journal: Applied Economics, 2(2), April 2010: 147-63
- Wealth, Race, and Consumption Smoothing of Typical Income Shocks
(with Peter Ganong, Pascal Noel, Diana Farrell, Fiona Greig, and Chris Wheat)
Reject and Resubmit, American Economic Review
**Updated Version** Working Paper (4/2023)
- An Experimental Evaluation of Deferred Acceptance: Evidence from Over 100 Army Officer
Labor Markets
(with Jonathan Davis and Kyle Greenberg)
Reject and Resubmit, Econometrica
Ungated Version
NBER Working Paper No. 31612
=====
An optimized crystal structure of Sc3CuTe. Source: the Alexandria database, functional PBE.

a = 4.9491 Å, b = 4.9491 Å, c = 4.9491 Å
α = 90.00°, β = 90.00°, γ = 90.00°
With the nearest neighbours (Å) after each atom.
Sites, in units of the cell vectors:
Sc 0.0000 0.0000 0.5000  2 Cu 2.47
Sc 0.0000 0.5000 0.0000  2 Cu 2.47
Sc 0.5000 0.0000 0.0000  2 Cu 2.47
Cu 0.0000 0.0000 0.0000  6 Sc 2.47
Te 0.5000 0.5000 0.5000  12 Sc 3.50

Properties
The value obtained for the uncorrected formation energy is -0.220 eV per atom. Its total energy is -27.33 eV for the cell shown. Its energy above the lowest structure with this stoichiometry is 282 meV/atom.
=====
So much for the data records.
- Incentives and Habit Formation in Health Screenings: Evidence from the Illinois Workplace Wellness Study
(with David Molitor and Julian Reif)
Ungated Version
NBER Working Paper No. 32745
- The Economics of Exclusions Restrictions in IV Models
NBER Working Paper No. 21391
- Time-Inconsistency and Saving: Experimental Evidence from Low-Income Tax Filers
(with Aprajit Mahajan)
NBER Working Paper No. 21272
- Tracing the Color Line: An Overview of Black-White Economic Inequality in the United States
(with Dania Francis, Fern Ramoutar, and Bradley Hardy)
Part of Series: Uncovering Inequality, Ira A. Lipman Center for Journalism on Civil and Human Rights, March, 2023
**These calculated crystals were left in the entry by mistake:**
'''
BaPaO2 | PBE-GGA | optimized geometry

raw formation energy	-2.436	eV per atom
crystal system	trigonal
space group	R-3m (166)

abc: 3.808 3.808 7.320
angles: 74.92 74.92 60.00
Fractional coordinates of all 4 atoms:
Ba1 0.000 0.000 0.000
O1 0.868 0.868 0.395
O2 0.132 0.132 0.605
Pa1 0.500 0.500 0.500
'''
- Health and Wealth Inequality in America: How COVID-19 Makes Clear the Need for Change
Written testimony prepared for a House Committee of the Budget's Hearning, June 23, 2020
- How the IRS could save time -- and money -- for millions of taxpayers
Washington Post Op-Ed, April 17, 2018
- Withholdings, Salience and Tax Policy
SIEPR Policy Brief, January, 2010
- Are Wellness Programs Any Good
SIEPR Policy Brief, July, 2010